Tips for Making the Online Classroom More Interesting
Online education has become a part of our lives in 2020. Many institutions have managed to turn online education and this process in their favor. Although face-to-face learning has a different place in learning, today’s experiences and digitalization show that using technology more and more effectively in learning has become very important for educational institutions.
The replacement of physical classrooms by online classrooms has been a difficult process for teachers and students to adapt to. Keeping students’ interest in the lesson alive, especially with the comfort of home, has become an important problem for teachers to solve.
The piece is interrupted by crystal structures =
+++
A plane-wave DFT calculation with PBE was carried out for an optimized crystal structure of TiPCO2.

Summary:
As for the formation energy without anion corrections: 0.2861 eV/atom. For the polymorph energy (0 for the lowest one), the calculation gives 306 meV per atom. The raw total energy comes out at -6.203 eV/atom. The density is 4073 kg/m³.

a b c (Å): 3.6224 3.6224 3.8173
angles (deg): 90.00 90.00 90.00
Positions (direct):
C 0.0000 0.0000 0.0000
O 0.5000 0.0000 0.0000
O 0.0000 0.5000 0.0000
Ti 0.5000 0.5000 0.5000
P 0.0000 0.0000 0.5000


A plane-wave DFT calculation with PBE was carried out for an optimized crystal structure of TlPCO2.

Summary:
As for the formation energy without anion corrections: 1.8985 eV/atom. For the polymorph energy (0 for the lowest one), the calculation gives 951 meV per atom. The raw total energy comes out at -3.485 eV/atom. The density is 4306 kg/m³.

a b c (Å): 3.9321 3.9321 6.9678
angles (deg): 90.00 90.00 90.00
Each line ends with the local moment (μB).
Positions (direct):
Tl 0.0000 0.0000 0.0000  0.00
O 0.0000 0.5000 0.0000  0.18
O 0.5000 0.0000 0.0000  0.18
P 0.0000 0.0000 0.5000  0.37
C 0.5000 0.5000 0.5000  -0.36


A plane-wave DFT calculation with PBE was carried out for an optimized crystal structure of TlPCO2.

Summary:
As for the formation energy without anion corrections: 0.9472 eV/atom. For the polymorph energy (0 for the lowest one), the calculation gives 0 meV per atom. The raw total energy comes out at -4.436 eV/atom. The density is 7947 kg/m³.

a b c (Å): 3.8185 3.8185 4.0033
angles (deg): 90.00 90.00 90.00
Positions (direct):
O 0.0000 0.5000 0.0000
O 0.5000 0.0000 0.0000
Tl 0.5000 0.5000 0.5000
P 0.0000 0.0000 0.5000
C 0.0000 0.0000 0.0000


- What is the polymorph energy (0 for the lowest one) in the second record?
  951 meV per atom
+++
Here the piece continues =
We’ll review some tips for teachers to help make their online classes more engaging.
Learn the System First
**Attached: records of crystals**
<i>
Below is a relaxed Y4BiAs2 crystal, with properties calculated at the PBE-GGA level.

Calculated density (g cm⁻³): 6.06
Crystal system: orthorhombic
SG: Cmcm, No. 63
Fermi-level density of states (states/eV/cell): 9.38

a = 4.203 Å, b = 7.067 Å, c = 13.817 Å
α = 90.00°, β = 90.00°, γ = 107.30°
Fractional coordinates of all 14 atoms:
As (0.134, 0.268, 0.442)
Y (0.236, 0.472, 0.619)
As (0.134, 0.268, 0.058)
Y (0.236, 0.472, 0.881)
As (0.866, 0.732, 0.558)
Bi (0.608, 0.216, 0.750)
Y (0.936, 0.872, 0.750)
As (0.866, 0.732, 0.942)
Y (0.064, 0.128, 0.250)
Y (0.764, 0.528, 0.381)
Y (0.500, 0.000, 0.000)
Bi (0.392, 0.784, 0.250)
Y (0.500, 0.000, 0.500)
Y (0.764, 0.528, 0.119)



<ii>
Below is a relaxed Y4BiAs2 crystal, with properties calculated at the PBE-GGA level.

Calculated density (g cm⁻³): 4.95
Crystal system: tetragonal
SG: I4/mmm, No. 139
Fermi-level density of states (states/eV/cell): 7.09

a = 5.657 Å, b = 5.657 Å, c = 8.494 Å
α = 70.55°, β = 70.55°, γ = 90.00°
Fractional coordinates of all 7 atoms:
Y (0.500, 0.000, 0.000)
Bi (0.000, 0.000, 0.000)
As (0.608, 0.608, 0.784)
As (0.392, 0.392, 0.216)
Y (0.000, 0.500, 0.000)
Y (0.787, 0.787, 0.426)
Y (0.213, 0.213, 0.574)



Which of them is most stable? Easy: <i>.



<i>
Below is a relaxed Zn2Bi2As crystal, with properties calculated at the PBE-GGA level.

Calculated density (g cm⁻³): 8.65
Crystal system: tetragonal
SG: I4/mmm, No. 139
Fermi-level density of states (states/eV/cell): 2.93

a = 3.778 Å, b = 3.778 Å, c = 8.807 Å
α = 77.61°, β = 77.61°, γ = 90.00°
Fractional coordinates of all 5 atoms:
Bi (0.604, 0.604, 0.793)
Zn (0.750, 0.250, 0.500)
Bi (0.396, 0.396, 0.207)
As (0.000, 0.000, 0.000)
Zn (0.250, 0.750, 0.500)



<ii>
Below is a relaxed Zn2Bi2As crystal, with properties calculated at the PBE-GGA level.

Calculated density (g cm⁻³): 8.25
Crystal system: tetragonal
SG: P4/mbm, No. 127
Fermi-level density of states (states/eV/cell): 4.20

a = 8.656 Å, b = 8.656 Å, c = 3.350 Å
α = 90.00°, β = 90.00°, γ = 90.00°
Fractional coordinates of all 10 atoms:
As (0.000, 0.000, 0.000)
Zn (0.899, 0.399, 0.500)
Zn (0.399, 0.101, 0.500)
Bi (0.207, 0.293, 0.000)
Bi (0.793, 0.707, 0.000)
Zn (0.101, 0.601, 0.500)
Zn (0.601, 0.899, 0.500)
Bi (0.293, 0.793, 0.000)
As (0.500, 0.500, 0.000)
Bi (0.707, 0.207, 0.000)



Which of them is most stable? Easy: <i>.



<i>
Below is a relaxed ZnBi2As2 crystal, with properties calculated at the PBE-GGA level.

Calculated density (g cm⁻³): 6.55
Crystal system: tetragonal
SG: I4/mmm, No. 139
Fermi-level density of states (states/eV/cell): 1.68

a = 5.142 Å, b = 5.142 Å, c = 7.076 Å
α = 68.69°, β = 68.69°, γ = 90.00°
Fractional coordinates of all 5 atoms:
Zn (0.000, 0.000, 0.000)
As (0.750, 0.250, 0.500)
Bi (0.640, 0.640, 0.721)
As (0.250, 0.750, 0.500)
Bi (0.360, 0.360, 0.279)



<ii>
Below is a relaxed ZnBi2As2 crystal, with properties calculated at the PBE-GGA level.

Calculated density (g cm⁻³): 8.33
Crystal system: tetragonal
SG: P4/mbm, No. 127
**Back to the page**
Especially during the lesson, not being able to master the technical details in the system and having problems during the lesson due to this cause the students to lose their concentration and become distracted. For this reason, first you need to be familiar with the system and application so that you can avoid problems that may occur during the lesson.
Unrelated to this piece: crystal structures:
- - -
Record 1
First-principles (PBE) data for LaPr3NdEr after structural relaxation, as listed in Alexandria.

Its calculated formation energy is 19 meV/atom. The density of states at the Fermi level is 19.47 states/eV/cell.

It has space group P2_1/m (No. 11), with a = 8.2031 Å, b = 5.2312 Å, c = 10.4155 Å, α = 90.00°, β = 108.49° and γ = 90.00°. The distinct sites, in fractional coordinates, are La at (0.1687, 0.2500, 0.2904), Pr at (0.1693, 0.7500, 0.5441), Pr at (0.1715, 0.2500, 0.7940), Pr at (0.1723, 0.7500, 0.0411), Nd at (0.4998, 0.2500, 0.6273) and Er at (0.4980, 0.7500, 0.8775).



Record 2
First-principles (PBE) data for LaPr2Nd5Er after structural relaxation, as listed in Alexandria.

Its calculated formation energy is 262 meV/atom. The density of states at the Fermi level is 55.91 states/eV/cell.

It has space group I4/mcm (No. 140), with a = 8.9542 Å, b = 8.9542 Å, c = 16.0457 Å, α = 90.00°, β = 90.00° and γ = 90.00°. The distinct sites, in fractional coordinates, are La at (0.0000, 0.0000, 0.2500), Pr at (0.1180, 0.3820, 0.0000), Nd at (0.0000, 0.0000, 0.0000), Nd at (0.2100, 0.2900, 0.3612) and Er at (0.0000, 0.5000, 0.2500).



Record 3
First-principles (PBE) data for La2Pr4NdEr after structural relaxation, as listed in Alexandria.

Its calculated formation energy is 18 meV/atom. The density of states at the Fermi level is 13.61 states/eV/cell.

It has space group P2/m (No. 10), with a = 5.2063 Å, b = 5.2224 Å, c = 10.4871 Å, α = 90.00°, β = 90.08° and γ = 90.00°. The distinct sites, in fractional coordinates, are La at (0.0000, 0.0000, 0.0000), La at (0.5000, 0.5000, 0.5000), Pr at (0.9995, 0.5000, 0.2473), Pr at (0.5001, 0.0000, 0.2479), Nd at (0.0000, 0.0000, 0.5000) and Er at (0.5000, 0.5000, 0.0000).



Record 4
First-principles (PBE) data for La2Pr4Nd2Er after structural relaxation, as listed in Alexandria.

Its calculated formation energy is 13 meV/atom. The density of states at the Fermi level is 25.46 states/eV/cell.

It has space group C2/m (No. 12), with a = 19.2917 Å, b = 3.7250 Å, c = 9.9101 Å, α = 90.00°, β = 115.48° and γ = 90.00°. The distinct sites, in fractional coordinates, are La at (0.1648, 0.0000, 0.9995), Pr at (0.0180, 0.0000, 0.3290), Pr at (0.1850, 0.5000, 0.3326), Nd at (0.1475, 0.5000, 0.6681) and Er at (0.0000, 0.5000, 0.0000).



Record 5
First-principles (PBE) data for LaPr2NdEr after structural relaxation, as listed in Alexandria.

Its calculated formation energy is 258 meV/atom. The density of states at the Fermi level is 13.71 states/eV/cell.

It has space group P2/c (No. 13), with a = 8.6043 Å, b = 6.6058 Å, c = 6.3800 Å, α = 90.00°, β = 95.05° and γ = 90.00°. The distinct sites, in fractional coordinates, are La at (0.0000, 0.0000, 0.0000), Pr at (0.3128, 0.3092, 0.2210), Nd at (0.0000, 0.4372, 0.7500) and Er at (0.5000, 0.1661, 0.7500).



Record 6
First-principles (PBE) data for La6PrNdEr2 after structural relaxation, as listed in Alexandria.
- - -
Right Start
Chatting with students at the start of the lesson will give them the opportunity to socialize and focus their attention on the lesson and the online classroom. Making this a routine will be enjoyable for students and teachers.
Time Is Much More Important
It is much easier to get distracted by students in online classes than face-to-face education. For this reason, it is necessary to pay more attention to time than normal. Dividing the lesson into chapters will help. We can divide these sections into two bases as education-oriented departments and departments where students can focus their attention. In this way, getting students to get their attention back when they start to get distracted will help you have a much more efficient online course.
In Closing As Important As Opening
Before completing and ending your lesson, you can make a “Closing Event” activity. You can provide time and environment for each student to share what he / she learned the most about the subject-what he / she has in mind or is curious about. Creating this routine is an important step for the students to make a small repetition of the lesson and to stay in the last part of their mind about the lesson in order to create a pleasant routine for them.
Interactive Education Is Always Effective
It’s always important to be interactive. Enabling the student to participate in the lesson with the teacher will make it more enjoyable for the student to teach in the online classroom. Various methods can be used to do this. For example, survey questions to be asked during the lesson and that everyone can join quickly, creating sections where ideas are exchanged on the subject are some of them. You may knowingly make mistakes in certain parts, especially during the lesson. In this way, you can give students the opportunity to correct and measure their attention.